Injury on Duty Leave An employee shall be granted injury-on-duty leave with pay for such reasonable period as may be determined by the Employer where it is determined by a Workers' Safety & Compensation Commission that he/she is unable to perform his/her duties because of:
Civil Leave A. A bargaining unit member subpoenaed to appear in court for a work-related matter or serve on jury duty shall be granted leave without loss of pay. A copy of the court summons, subpoena, or letter from the court requesting the bargaining unit member’s presence must be submitted to administration. B. When a bargaining unit member is scheduled to be absent and such appearance in court is negated or the bargaining unit member is excused in such time to return to his/her work site for the remainder of his/her workday, then he/she is required to do so.
Legal Leave 1The University shall grant leave of absence with pay to a member of faculty who is called to serve as a juror or a witness in a court of law in a matter in which he/she is not a party or an accused.
Study Leave Credits for study leave will be given for educational commitments falling due between an employee's nominated starting and finishing times.
Older Workers Benefit Protection Act Executive agrees and expressly acknowledges that this Release includes a waiver and release of all claims which he has or may have under the Age Discrimination in Employment Act of 1967, as amended, 29 U.S.C. § 621, et seq. (“ADEA”). The following terms and conditions apply to and are part of the waiver and release of the ADEA claims under this Release: (i) This paragraph, and this Release are written in a manner calculated to be understood by him. (ii) The waiver and release of claims under the ADEA contained in this Release does not cover rights or claims that may arise after the date on which he signs this Release. (iii) This Release provides for consideration in addition to anything of value to which he is already entitled. (iv) Executive has been advised to consult an attorney before signing this Release. (v) Executive has been granted twenty-one (21) days after he is presented with this Release to decide whether or not to sign this Release. If he executes this Release prior to the expiration of such period, he does so voluntarily and after having had the opportunity to consult with an attorney, and hereby waives the remainder of the twenty-one (21) day period. (vi) Executive has the right to revoke this general release within seven (7) days of signing this Release. In the event he does so, both this Release and the offer of benefits to him pursuant to the Employment Agreement or the Change of Control Agreement, as applicable, will be null and void in their entirety, and he will not receive any severance payments or benefits under the Employment Agreement or the Change of Control Agreement. If he wishes to revoke this Release, Executive shall deliver written notice stating his or her intent to revoke this Release to the Chairman of the Board of Directors of the Company and the Company’s Chief Executive Officer, or, if Executive is serving in such capacities as of the Termination Date, to the Chairman of the Compensation Committee of the Board of Directors of the Company, at the offices of the Company on or before 5:00 p.m. on the seventh (7th ) day after the date on which he signs this Release.
[Here the text breaks off for data records]
********
<w>
# C24H58BrN3O2

A cluster of 4 separate species, C24H58BrN3O2 in total (the ωB97M-V functional and the def2-TZVPD basis, the OMol25 dataset).

Each line ends with the Löwdin spin population.
Element x y z (Å)
Br -1.91 -1.21 0.99  0.980
C -4.15 -5.50 -0.84  0.000
C -2.78 -4.74 -0.92  0.000
N -2.54 -3.98 -2.23  0.000
C -1.06 -3.49 -2.12  -0.001
C -2.77 -4.85 -3.50  0.000
C -1.81 -6.06 -3.63  0.000
C -3.59 -2.76 -2.32  0.002
C -3.26 -1.72 -3.39  0.000
O -3.49 -2.12 -4.72  0.000
C -3.16 -1.11 -5.59  0.000
H -4.38 -6.24 -1.61  0.000
H -4.90 -4.71 -0.75  0.000
H -4.22 -6.05 0.10  0.000
H -1.99 -5.48 -0.82  0.000
H -2.73 -3.96 -0.16  0.001
H -1.00 -2.97 -1.16  -0.001
H -0.74 -2.93 -2.99  0.000
H -0.43 -4.37 -2.10  0.000
H -2.72 -4.27 -4.42  0.000
H -3.82 -5.15 -3.43  0.000
H -2.28 -6.97 -4.01  0.000
H -1.41 -6.44 -2.69  0.000
H -0.97 -5.83 -4.28  0.000
H -3.64 -2.32 -1.32  0.002
H -4.57 -3.23 -2.43  0.000
H -2.20 -1.50 -3.29  0.000
H -3.91 -0.88 -3.16  0.000
H -3.90 -0.30 -5.58  0.000
H -3.19 -1.35 -6.65  0.000
H -2.12 -0.82 -5.47  0.000
C 3.40 5.17 2.51  0.000
C 2.62 3.83 2.66  0.000
N 1.14 4.05 3.20  0.000
C 0.37 5.00 2.22  0.000
C 0.33 2.76 3.45  0.000
C 0.21 1.87 2.11  0.000
C 1.18 4.91 4.53  0.000
C 1.64 4.24 5.81  0.000
O 0.65 3.37 6.30  0.000
C 1.05 2.56 7.27  0.000
H 4.22 4.91 1.84  0.000
H 3.92 5.46 3.42  0.000
H 2.77 5.97 2.14  0.000
H 3.20 3.24 3.38  0.000
H 2.52 3.29 1.72  0.000
H 0.79 6.00 2.36  0.000
H -0.63 5.01 2.67  0.000
H 0.24 4.59 1.22  0.000
H -0.66 3.11 3.73  0.000
H 0.68 2.13 4.27  0.000
H -0.03 2.52 1.26  0.000
H -0.51 1.05 2.17  0.000
H 1.12 1.30 2.00  0.000
H 0.17 5.24 4.77  0.000
H 1.75 5.80 4.27  0.000
H 1.93 5.04 6.49  0.000
H 2.61 3.77 5.65  0.000
H 0.32 1.78 7.47  0.000
H 1.14 3.03 8.25  0.000
H 1.99 2.08 6.97  0.000
C -1.35 1.02 -2.53  0.006
C -0.04 0.22 -2.53  0.001
C 0.94 0.84 -1.55  0.001
N 2.21 -0.01 -1.22  0.000
C 2.85 -0.52 -2.55  0.000
C 3.30 0.79 -0.44  0.000
C 3.85 -0.26 0.56  0.000
C 2.57 -1.05 0.91  0.000
C 1.85 -1.26 -0.41  -0.001
H -1.96 0.97 -1.63  0.008
H -2.09 0.71 -3.27  0.000
H -1.18 2.08 -2.72  0.000
H 0.48 0.27 -3.48  0.000
H -0.16 -0.82 -2.23  0.001
H 0.61 1.19 -0.57  0.000
H 1.36 1.79 -1.89  0.000
H 2.30 -1.41 -2.86  0.000
H 3.85 -0.87 -2.28  0.000
H 2.82 0.29 -3.28  0.000
H 3.99 1.20 -1.18  0.000
H 2.81 1.58 0.12  0.000
H 4.67 -0.88 0.20  0.000
H 4.19 0.32 1.42  0.000
H 2.77 -1.99 1.43  0.000
H 1.91 -0.43 1.50  0.000
H 2.18 -2.17 -0.90  0.000
H 0.77 -1.36 -0.23  -0.001

Its spin multiplicity is 2. Its expectation value of S² is 0.75. For the HOMO energy (spin up / spin down), the calculation gives -0.6074 / -0.6074 Eh. The total charge is +3.

<x>
# C24H58BrN3O2

A cluster of 4 separate species, C24H58BrN3O2 in total (the ωB97M-V functional and the def2-TZVPD basis, the OMol25 dataset).

Each line ends with the Löwdin spin population.
Element x y z (Å)
Br -2.59 18.95 -1.00  0.928
C -1.79 14.95 -1.91  0.000
C -2.89 14.02 -1.32  0.000
N -4.12 14.79 -0.61  0.000
C -5.18 13.80 -0.19  0.000
********
[So much for the data records]
Non-Discrimination and Equal Opportunity All Parties to this MOU certify that they prohibit, and will continue to prohibit, discrimination, and they certify that no person, otherwise qualified, is denied employment, services, or other benefits on the basis of: (i) political or religious opinion or affiliation, marital status, sexual orientation, gender, gender identification and/or expression, race, color, creed, or national origin; (ii) sex or age, except when age or sex constitutes a bona fide occupational qualification; or (iii) the physical or mental disability of a qualified individual with a disability. The Parties specifically agree that they will comply with Section 188 of the WIOA Nondiscrimination and Equal Opportunity Regulations (29 CFR Part 38; Final Rule December 2, 2016), the Americans with Disabilities Act (42 U.S.C. 12101 et seq.), the Non-traditional Employment for Women Act of 1991, titles VI and VII of the Civil Rights of 1964, as amended, Section 504 of the Rehabilitation Act of 1973, as amended, the Age Discrimination Act of 1967, as amended, title IX of the Education Amendments of 1972, as amended, and with all applicable requirements imposed by or pursuant to regulations implementing those laws, including but not limited to 29 CFR Part 37 and 38.
Records of molecules, kept here for reference.
<<<
DFT (wB97M-V/def2-TZVPD) results for C23H30BF4N4OS6SiV as an isolated structure in a non-equilibrium geometry.

Properties
strongest force on any atom: 2.029 eV/A
calculated total energy: -142479.81227 eV
Kohn-Sham gap (spin up / spin down): 6.626 / 7.428 eV
spin multiplicity: 2
total charge: -1

Geometry as XYZ:
```
71
Properties=species:S:1:pos:R:3:forces:R:3:mulliken_spin:R:1
V -0.012 0.159 0.319 -0.03 1.55 -1.31 1.348
S 0.797 2.404 4.033 0.08 -0.06 -0.10 -0.009
C 0.699 1.842 2.497 -0.08 0.47 0.59 0.019
S 1.777 0.733 1.728 0.04 -0.16 -0.16 -0.117
S -0.572 2.172 1.379 0.00 0.11 0.10 -0.047
C -3.414 2.095 3.637 -0.09 -0.21 -0.05 -0.001
C -3.992 0.684 3.549 -0.01 0.42 -0.33 0.000
N -3.664 -0.106 4.719 -0.20 -0.04 0.14 0.000
C -4.351 0.237 5.956 0.10 -0.08 0.39 0.000
C -3.387 0.747 7.022 -0.12 -0.10 -0.08 0.000
C -2.909 -1.219 4.770 0.03 0.00 -0.13 -0.001
O -2.858 -1.908 5.781 0.02 -0.31 0.16 0.000
C -2.092 -1.626 3.588 0.48 -0.12 -0.22 -0.006
C -1.876 -2.987 3.387 0.05 0.19 -0.15 0.003
C -1.002 -3.386 2.394 -0.02 0.18 -0.02 -0.003
C -0.437 -2.417 1.582 0.05 -0.97 0.09 0.007
N -0.648 -1.122 1.764 -0.04 -0.52 0.01 0.000
C -1.409 -0.731 2.776 -0.64 0.08 0.88 -0.012
H -3.577 2.626 2.704 -0.05 0.08 -0.09 0.000
H -2.344 2.075 3.823 0.16 0.01 0.01 0.001
H -3.878 2.657 4.446 -0.08 0.08 0.10 0.000
H -3.655 0.186 2.640 -0.06 -0.01 0.11 0.000
H -5.085 0.753 3.488 0.06 -0.11 -0.05 0.000
H -4.848 -0.662 6.334 -0.05 0.14 -0.06 0.000
H -5.106 0.989 5.730 0.00 -0.02 -0.09 0.000
H -2.711 -0.052 7.309 0.07 -0.03 0.04 0.000
H -3.942 1.062 7.902 -0.04 0.10 0.13 0.000
H -2.797 1.580 6.649 0.02 0.17 -0.03 0.000
H -2.396 -3.700 4.010 0.05 -0.04 0.11 0.000
H -0.771 -4.425 2.217 -0.06 -0.05 -0.04 0.000
H 0.199 -2.707 0.754 -0.12 0.03 0.08 -0.006
H -1.467 0.334 2.953 -0.07 -0.05 -0.13 -0.001
C 1.888 3.042 -1.080 -0.42 -0.32 -0.35 0.001
Si 0.516 2.352 -2.231 0.23 0.17 -0.14 0.001
C -0.343 3.904 -2.973 0.21 -0.68 0.31 -0.007
C 1.228 1.319 -3.687 -0.18 0.39 0.55 -0.001
C -0.741 1.250 -1.319 0.40 -0.11 0.08 -0.150
H 2.819 3.227 -1.611 0.06 0.04 -0.19 0.001
H 2.108 2.356 -0.263 0.02 0.09 -0.04 0.000
H 1.567 3.980 -0.634 -0.16 0.12 0.06 -0.001
H 0.332 4.455 -3.622 0.25 0.04 -0.08 -0.001
H -0.656 4.576 -2.179 -0.09 0.10 0.18 0.000
H -1.216 3.644 -3.563 -0.20 -0.12 -0.08 0.000
H 2.289 1.503 -3.831 0.23 0.02 0.01 0.000
H 0.737 1.578 -4.621 -0.20 0.11 -0.14 0.000
H 1.077 0.255 -3.526 0.01 -0.13 0.07 -0.001
H -1.090 0.444 -1.967 0.00 -0.04 -0.15 -0.007
H -1.612 1.844 -1.040 -0.01 -0.03 0.09 0.003
F -3.678 -1.048 -1.398 -0.54 0.17 -0.65 0.000
B -2.838 -1.234 -0.350 0.07 0.10 0.20 -0.003
F -1.548 -1.599 -0.814 0.76 0.04 -0.11 0.007
F -2.642 -0.016 0.367 0.22 0.50 0.17 0.002
F -3.292 -2.183 0.533 -0.28 -0.54 0.45 0.000
S 5.998 1.037 -3.568 0.41 0.47 0.02 0.000
C 4.774 0.158 -2.918 -0.06 0.21 0.24 0.000
S 4.053 0.536 -1.351 -0.23 -0.79 -0.77 0.000
C 2.855 -0.742 -1.653 1.14 1.00 -0.42 0.013
N 3.064 -1.358 -2.756 -1.06 -0.62 0.47 0.005
N 4.110 -0.893 -3.462 0.49 0.77 0.78 0.000
>>>
Union Leave Leave of absence for Union business shall be given without pay up to a maximum of (as per the local provisions under L19) days per calendar year provided such leave does not interfere with the continuance of efficient operation of the Hospital. Such leave shall be subject to the following conditions: (a) not more than (as per the local provisions under L19) employees of the Hospital are absent on any such leave at the same time, and not more than (as per the local provisions under L19) employee from a department; (b) a request must be made in writing at least twenty-one days prior to the commencement of the function for which leave is requested, unless it is not reasonably possible to give such notice; (c) such request shall state the general nature of the function to be attended; (d) employees on a Union Leave which is approved by the Hospital in accordance with the above conditions shall be paid for such leave by the Hospital. The Hospital shall then forward a statement of such wages paid to the employee affected to the union for reimbursement of the amount stated; (e) an employee who is elected or appointed to office with the CAW, shall upon application by the Union in writing, be granted a leave of absence without loss of seniority and benefits for up to three (3) years. An extension shall be granted upon written application by the employee to the administration of the Hospital. During such leaves of absence, salary and benefits shall be kept whole by the Hospital and the Union agrees to reimburse the Hospital for such salary and the Hospital's contribution to said benefits. The employee agrees to notify the Hospital of the employee's intention to return to work within two (2) weeks following the termination of office for which the leave was granted. The union agrees to notify the Hospital five (5) months in advance of the Local Union election. The union further agrees that the requirement to meet under Article 14 will be waived. At the end of such leave, any employee hired or placed as a substitute for the employee on such absence, may be terminated or laid off by the Hospital as required, or may be transferred to the employee's previous position if the substitution was a transfer. An employee on leave of absence under this provision shall continue to accumulate all rights and privileges under this Agreement. It is understood that the intent of this article is that it shall normally apply to only one employee at a time per circumstance as noted above, and that the Union shall provide adequate notice prior to an employee commencing Union Leave of Absence. Further applications may be granted consistent with the Hospital’s staffing requirements. In addition, it is understood that any employee so elected or appointed is required to maintain their competence in the event that they are to return to the workplace.
┌──
# 1
Here is an isolated molecule of C5H10N4OS from OMol25. Energies are from the ωB97M-V functional and the def2-TZVPD basis.

The geometry in XYZ format:
```
21
Properties=species:S:1:pos:R:3:forces:R:3:mulliken_spin:R:1
C 0.93183 1.67466 -0.28649 -1.08 -3.06 0.02 0.471
C -0.60170 0.07292 -0.51582 -0.61 1.56 1.21 0.925
C 0.37461 -0.90622 -0.25256 -0.18 -0.03 -0.17 0.174
C -0.03663 -2.35079 -0.18101 2.01 1.33 -1.28 0.060
C 3.26580 0.95452 0.04255 -0.10 -3.76 -3.05 0.032
N 1.61511 -0.52996 -0.04846 -1.34 -2.54 -0.18 0.269
N -2.74181 -1.24574 -0.27347 0.54 2.58 1.19 0.062
N 1.84049 0.79358 -0.07628 -0.50 3.06 -0.18 -0.047
N -2.27483 0.96649 1.36758 0.27 -1.44 -0.46 0.004
O -2.85668 1.29362 -1.01680 -1.40 1.39 -1.77 -0.005
S -2.33197 0.28131 -0.19184 3.40 -4.41 0.30 0.039
H 0.96112 2.69681 -0.26620 1.33 2.49 0.11 0.036
H 0.67956 -3.05192 0.16769 1.10 -0.43 -0.24 -0.003
H -0.73111 -2.28142 0.54641 -2.92 -0.47 2.11 -0.001
H -0.48304 -2.54557 -1.13158 -0.38 -0.75 -0.36 -0.005
H 3.52866 0.24827 0.78315 0.79 -0.38 0.97 -0.004
H 3.60534 0.45855 -0.96124 0.16 1.39 1.78 -0.002
H 3.55791 1.90368 0.22241 0.94 3.01 0.31 -0.008
H -3.53401 -1.42741 -0.83623 -1.41 0.09 -0.46 0.001
H -1.55174 1.68787 1.42667 -0.48 -0.14 -0.33 -0.002
H -3.21691 1.30675 1.48154 -0.16 0.50 0.46 0.005
```
Positions in Å, forces in eV/Å.

- spin multiplicity = 3
- gap between HOMO and LUMO (alpha / beta) (Eh) = 0.237 / 0.263

# 2
Here is a cluster of 12 separate species, C39H109N17O15 in total from OMol25. Energies are from the ωB97M-V functional and the def2-TZVPD basis.

The geometry in XYZ format:
```
180
Properties=species:S:1:pos:R:3:forces:R:3:lowdin_charge:R:1
C -8.93054 1.92941 6.77387 -0.68 0.61 1.29 -0.136
O -8.99157 1.91428 5.37319 -0.52 -0.41 -0.19 -0.181
C -10.34151 1.98417 4.85946 0.33 -0.69 0.17 -0.156
C -11.11610 0.64944 5.13817 2.00 -0.77 -0.82 -0.450
C -10.38998 -0.54395 4.48650 0.51 -0.19 -0.32 -0.065
N -12.43850 0.60774 4.60444 -0.84 1.15 -0.25 0.020
H -9.58197 1.24612 7.31871 -0.33 -0.54 -0.53 0.072
H -9.26391 2.89594 7.15173 0.11 0.45 -0.01 0.084
H -7.96614 1.73222 7.24202 0.44 0.08 -0.96 0.089
H -10.85130 2.88500 5.20111 -0.22 -0.01 0.78 0.115
H -10.24817 2.20440 3.79603 0.14 -0.63 -0.17 0.125
H -11.19567 0.45265 6.20730 0.60 0.23 0.29 0.118
H -10.27620 -0.50740 3.40307 -0.07 0.98 -0.20 0.076
H -10.98948 -1.45354 4.52306 -0.01 -0.16 0.85 0.069
H -9.37586 -0.70993 4.84998 -0.18 -0.11 0.36 0.074
H -12.89697 1.35552 5.10518 -0.91 0.10 -0.19 0.072
H -12.83880 -0.25682 4.93970 -0.38 -0.07 -0.12 0.074
C -6.48088 4.98790 -2.20641 0.27 1.07 -0.60 -0.131
O -7.68361 4.64400 -1.59638 -0.66 -0.44 0.83 -0.176
C -8.50061 3.73349 -2.29691 -0.92 -0.04 -0.36 -0.196
C -10.00483 3.83531 -1.86653 -0.20 -1.99 0.80 -0.425
C -10.82594 2.51353 -2.16551 1.26 0.16 -0.22 -0.063
N -10.67005 4.98278 -2.34671 -0.75 1.81 -0.23 0.025
H -6.02792 4.20745 -2.81782 0.03 -0.27 0.19 0.087
H -5.76941 5.39938 -1.49046 -0.03 -0.65 0.47 0.085
H -6.62888 5.86386 -2.83798 -0.26 0.01 -0.61 0.083
└──
Volunteer Leave Subject to operational requirements as determined by the Employer and with an advance notice of at least five (5) working days, the employee shall be granted, in each fiscal year, a single period of up to seven decimal five (7.5) hours’ of leave with pay to work as a volunteer for a charitable or community organization or activity, other than for activities related to the Government of Canada Workplace Charitable Campaign. The leave will be scheduled at a time convenient both to the employee and the Employer. Nevertheless, the Employer shall make every reasonable effort to grant the leave at such a time as the employee may request.
Workers' Compensation Leave A. When an injury is determined to be job related in accordance with Article XII, a regular, limited-term or probationary employee shall be placed on Workers'
Education Leave If required by the Hospital, an employee shall be entitled to leave of absence with pay and without loss of seniority and benefits to write examinations to upgrade his or her employment qualifications. Where employees are required by the Hospital to take courses to upgrade or acquire new employment qualifications, the Hospital shall pay the full costs associated with the courses. Subject to operational requirements, the Hospital will make every reasonable effort to grant requests for necessary changes to an employee's schedule to enable attendance at a recognized up-grading course or seminar related to employment with the Hospital."